We come now to the part of the Apostle’s Creed whereby the focus is on Jesus Christ. Note that this is the longest section in the Creed. The length reflects the fact that Jesus Christ is central to the Christian Faith – no Christ, no Christianity!

Now let’s see how the Creed presents Him:

(A) He is called Jesus (meaning “God is Savior”). It identifies Him as a historical person, Mary’s son from Nazareth in Galilee, a Jewish ex-carpenter who worked for three years as a rural rabbi and was put to death by the Roman authorities about AD 30. The four Gospels describe his ministry in some detail.

Computed, not measured: a geometry-optimized Nd6Pd2Au structure at the PBE level of DFT.

Summary:
Its calculated total energy is -5.205 eV per atom. As for the energy of formation from the pure elements: -0.5081 eV per atom.

a b c (Å): 9.6858 10.1227 10.4876
angles (deg): 90.00 90.00 90.00
Last column: nearest neighbours and their distance in Å.
Space group Immm (No. 71)
Asymmetric unit:
Nd1 0.0000 0.1891 0.2401  1 Pd 2.99, 2 Au 3.16-3.33
Nd2 0.2013 0.5000 0.1696  3 Pd 2.85-3.05
Nd3 0.2183 0.3236 0.5000  3 Pd 3.09-3.23, 1 Au 3.26
Pd1 0.0000 0.3481 0.0000  8 Nd 2.99-3.23, 1 Pd 3.08
Pd2 0.0000 0.5000 0.3684  1 Pd 2.76, 2 Nd 2.85
Au1 0.0000 0.0000 0.0000  8 Nd 3.16-3.26, 2 Pd 3.52
Au2 0.0000 0.0000 0.5000  8 Nd 3.33-3.40

=====

The following is a PBE calculation of crystalline CeErSc2 at its relaxed geometry, from the Alexandria database.

POSCAR file:
```
CeErSc2
1.0
5.373 0.000 0.000
2.686 4.653 0.000
2.686 1.551 4.387
Sc Ce Er
2 1 1
Direct
0.250 0.250 0.250
0.750 0.750 0.750
0.500 0.500 0.500
0.000 0.000 0.000
```

As for the excess energy over the best structure of this formula in the dataset: 0.018 eV/atom. For the density of states at the Fermi level, the calculation gives 6.7 states/eV per cell.

=====

(1)
6
Lattice="2.765 0.000 0.000 0.000 4.398 0.000 -1.405 0.000 7.187" Properties=species:S:1:pos:R:3 comment="ReTc4Os GGA-PBE relaxed" volume_a3_per_atom=14.56 final_energy_ev_per_atom=-10.889 e_above_lowest_polymorph_mev_per_atom=0 formation_enthalpy_0k_ev_per_atom=-0.03 dos_at_fermi_per_ev_atom=0.90 pbc="T T T"
Re 0.000 0.000 0.000
Tc -0.013 0.000 4.807
Tc 1.398 2.199 0.832
Tc 1.376 0.000 2.426
Tc 1.382 2.199 5.591
Os 0.006 2.199 3.206



(2)
4
Lattice="0.000 3.538 3.538 3.538 0.000 3.538 3.538 3.538 0.000" Properties=species:S:1:pos:R:3 comment="GdLuMnGa GGA-PBE relaxed" volume_a3_per_atom=22.15 final_energy_ev_per_atom=-7.873 formation_enthalpy_0k_ev_per_atom=-0.17 dos_at_fermi_per_ev_atom=1.28 pbc="T T T"
Gd 0.000 0.000 0.000
Lu 3.538 3.538 3.538
Mn 5.308 5.308 5.308
Ga 1.769 1.769 1.769



(3)
8
Lattice="6.104 0.000 0.000 0.000 3.544 0.000 -2.020 0.000 5.782" Properties=species:S:1:pos:R:3 comment="Pm2YPuN4 GGA-PBE relaxed" volume_a3_per_atom=15.64 final_energy_ev_per_atom=-9.402 dos_at_fermi_per_ev_atom=0.92 raw_formation_energy_kj_per_mol_atoms=-140.1 pbc="T T T"
Pm 0.000 0.000 0.000
Pm 3.052 1.772 0.000
Y -1.010 1.772 2.891
Pu 2.042 0.000 2.891
N 0.055 0.000 4.253
N 1.056 1.772 1.554
N 3.028 1.772 4.228
N 4.029 0.000 1.529



(4)
8
Lattice="6.204 0.000 0.000 0.000 3.595 0.000 -2.060 0.000 5.864" Properties=species:S:1:pos:R:3 comment="Tb2PrThN4 GGA-PBE relaxed" volume_a3_per_atom=16.35 final_energy_ev_per_atom=-8.406 dos_at_fermi_per_ev_atom=0.22 raw_formation_energy_kj_per_mol_atoms=-150.6 pbc="T T T"
Tb 0.000 0.000 0.000
Tb -1.030 1.797 2.932
Pr 2.072 0.000 2.932
Th 3.102 1.797 0.000
N 1.015 1.797 1.400
N -0.031 0.000 4.431
N 4.176 0.000 1.433
N 3.129 1.797 4.464



(5)
9

S(B) He is called Christ (literally “the anointed one”). This is a title that describes the office Jesus will occupy. It identifies Jesus as God’s appointed Savior-King for whom the Jews had long been waiting. Since Christ was expected to set up God’s reign and be hailed as the ruler of the world, to call Jesus Christ was to claim for Him a decisive place in history and a universal dominion which all men everywhere must acknowledge. 

Also, the title Christ expresses the claim that Jesus fulfilled all three ministries for which men were anointed in Old Testament times, being prophet (a messenger from God) and priest (one who mediates with God for us by sacrifice) as well as being king (one who rules our life by God’s standard and for God’s glory). Jesus in the office of prophet, priest and king meets all our actual needs as sinners in rebellion against God.

First, we are ignorant of God and need instruction—for no satisfying relationship is possible with a person about whom you know little or nothing. Second, we are estranged from God and need reconciliation—otherwise, we shall end up unaccepted, unforgiven, and unblessed, strangers to His fatherly love and exiles from the inheritance which is in store for those who are his children. Third, we are weak, blind, and foolish when it comes to the business of living for God, and we need someone to guide, protect, and strengthen us. Now in the person and ministry of the one man, Jesus Christ, this threefold need is completely and perfectly met! Hallelujah!

(C) He is called God’s only Son. This identifies Mary’s boy as the Second Person of the Trinity, the Word who was the Father’s agent in making the world and sustaining it right up to the present (John 1:1–4; Colossians 1:13–20; Hebrews 1:1–3). In simple words, He is not just man, but God as well!

(D) He is called “our Lord”. If Jesus is God the Son, our co-creator, and is also Christ, the anointed Savior-King, now risen from death and reigning at God’s right hand, then He has a right to rule us, and we have no right to resist His claim. As he invaded space and time in Palestine nearly 2,000 years ago, so He invades our personal space and time today, with the same purpose of love that first brought him to earth. “Come, follow me” was His word then, and it is so still.

Is He, then, your Lord? You cannot say the Apostle’s Creed and call Jesus “our Lord” in church till you have first said “my Lord” in your heart! Have you?

Further Reading:

•     Read Jesus is both God and Man by Stuart Olyott, available at Shalom Resource Library.

# What comes next are data records, not part of the entry
┌──
(a)
VASP calculation (PBEsol) on a geometry-optimized Ca4Al6MoO16 structure.

```
data_Ca4Al6MoO16
_space_group_name_H-M_alt 'I -4'
_space_group_IT_number 82
_space_group_name_Hall 'I -4'
_cell_length_a 9.259
_cell_length_b 9.259
_cell_length_c 9.468
_cell_angle_alpha 90.00
_cell_angle_beta 90.00
_cell_angle_gamma 90.00
loop_
_atom_site_label
_atom_site_type_symbol
_atom_site_fract_x
_atom_site_fract_y
_atom_site_fract_z
Ca1 Ca 0.212 0.248 0.233
Al1 Al 0.000 0.500 0.250
Al2 Al 0.000 0.500 0.750
Al3 Al 0.015 0.252 0.506
Mo1 Mo 0.000 0.000 0.000
O1 O 0.018 0.658 0.346
O2 O 0.024 0.153 0.108
O3 O 0.070 0.350 0.656
O4 O 0.149 0.833 0.544
```

Results
For the total magnetization, the calculation gives 0.00 μB/f.u.


(b)
VASP calculation (PBEsol) on a geometry-optimized Ca4Al6MoO16 structure.

```
data_Ca4Al6MoO16
_space_group_name_H-M_alt 'A e a 2'
_space_group_IT_number 41
_space_group_name_Hall 'A 2 -2ab'
_cell_length_a 26.134
_cell_length_b 13.085
_cell_length_c 9.321
_cell_angle_alpha 90.00
_cell_angle_beta 90.00
_cell_angle_gamma 90.00
loop_
_atom_site_label
_atom_site_type_symbol
_atom_site_fract_x
_atom_site_fract_y
_atom_site_fract_z
Ca1 Ca 0.018 0.232 0.000
Ca2 Ca 0.120 0.485 0.454
Ca3 Ca 0.138 0.029 0.417
Ca4 Ca 0.250 0.237 0.453
Al1 Al 0.000 0.000 0.473
Al2 Al 0.000 0.000 0.957
Al3 Al 0.059 0.135 0.706
Al4 Al 0.063 0.387 0.725
Al5 Al 0.185 0.124 0.702
Al6 Al 0.190 0.374 0.690
Al7 Al 0.243 0.496 0.445
Mo1 Mo 0.138 0.261 0.199
O1 O 0.016 0.113 0.567
O2 O 0.033 0.408 0.558
O3 O 0.046 0.261 0.768
O4 O 0.048 0.068 0.867
O5 O 0.055 0.468 0.873
O6 O 0.091 0.182 0.117
O7 O 0.108 0.365 0.282
O8 O 0.122 0.107 0.646
O9 O 0.126 0.415 0.683
O10 O 0.171 0.186 0.329
O11 O 0.180 0.306 0.068
O12 O 0.194 0.076 0.877
O13 O 0.209 0.248 0.723
O14 O 0.209 0.392 0.510
O15 O 0.212 0.454 0.823
O16 O 0.220 0.076 0.557
```

Results
For the total magnetization, the calculation gives 0.00 μB/f.u.


On energetic grounds, (b) is preferred over the next structure by 6 meV per atom.


(a)
VASP calculation (PBEsol) on a geometry-optimized Na3CaAl3Si3SO16 structure.

```
data_Na3CaAl3Si3SO16
_space_group_name_H-M_alt 'P 1'
_space_group_IT_number 1
_space_group_name_Hall 'P 1'
_cell_length_a 7.774
_cell_length_b 7.808
_cell_length_c 7.834
_cell_angle_alpha 109.36
_cell_angle_beta 108.39
_cell_angle_gamma 110.39
loop_
_atom_site_label
_atom_site_type_symbol
_atom_site_fract_x
_atom_site_fract_y
_atom_site_fract_z
Na1 Na 0.000 0.000 0.000
Na2 Na 0.007 0.619 0.393
Na3 Na 0.625 0.238 0.627
Ca1 Ca 0.371 0.590 0.006
Al1 Al 0.247 0.111 0.758
Al2 Al 0.504 0.364 0.252
Al3 Al 0.758 0.116 0.251
Si1 Si 0.262 0.361 0.505
Si2 Si 0.502 0.857 0.755
Si3 Si 0.747 0.868 0.501
S1 S 0.035 0.634 0.995
O1 O 0.024 0.210 0.314
O2 O 0.160 0.645 0.192
O3 O 0.178 0.812 0.985
O4 O 0.292 0.247 0.007
O5 O 0.304 0.319 0.700
O6 O 0.312 0.609 0.603
O7 O 0.406 0.004 0.720
O8 O 0.423 0.330 0.428
O9 O 0.595 0.629 0.310
O10 O 0.603 0.897 0.991
O11 O 0.691 0.903 0.693
O12 O 0.699 0.012 0.406
└──

Questions for Thought:

•     Can I have Jesus as my priest to represent me before God without Him being my prophet to teach me and my king to rule me?

[Adapted from and based on J.I. Packer’s Growing in Christ]